The Illusion of Rebellion and Adventure

It was a hot summer’s evening when I settled down for another night alone on the beach. Alongside me were the few possessions I owned. I had no pillow so I would use a book. The blanket I used to cover me had seriously outlived its shelf life; having been used all summer without a wash, it was smelly, manky and uncomfortable and no matter how hard I shook it, I could not seem to get all the sand out that had matted its way in. Continue reading “The Illusion of Rebellion and Adventure”

Of Ant Mounds, Pretty Lawns and Healing

Where I live it rains a lot and it’s warm for most of the year. The soil is rich volcanic clay. Things grow really well, including grass and bugs. Along with those wonderful things come mould, mud, mosquitoes, tropical parasites and a roaring trade in lawn mowing and garden equipment repairs. And along with all that also comes – ANT MOUNDS!

Picture yourself coming out on a sunny morning to see your beautifully mowed, bright green spring lawn covered in little conical mounds of mud at the rate of up to 20 per square metre: like a minefield on your lovely lawn that you have to step carefully through, unless you want mud packed into your soles and up the sides of your shoes, or between your toes and under your toenails. Continue reading “Of Ant Mounds, Pretty Lawns and Healing”

A True Commitment to Work, Getting a Job… and Life

Committing to work is one of the best things that has ever happened to me. I say ‘happened’ to me, as it only seemed to begin after I had a major operation and STOP in 2010, yet it is one of the most empowering and loving things I have ever experienced for myself.

~~~
The following is a DFT calculation (PBE) of crystalline SrCa3Mg at its relaxed geometry.

Cell: 8.466 8.466 8.466 Å, 90.00 90.00 90.00°
Fractional positions:
Sr 0.000 0.500 0.500
Sr 0.500 0.000 0.500
Sr 0.500 0.500 0.000
Ca 0.500 0.500 0.500
Ca 0.222 0.222 0.222
Ca 0.778 0.778 0.222
Ca 0.778 0.222 0.778
Ca 0.222 0.778 0.778
Ca 0.222 0.222 0.778
Ca 0.778 0.778 0.778
Ca 0.222 0.778 0.222
Ca 0.778 0.222 0.222
Mg 0.500 0.000 0.000
Mg 0.000 0.500 0.000
Mg 0.000 0.000 0.500

Properties
crystal system: cubic
formation energy from the elements: 0.033 eV per atom
uncorrected energy: -1.82 eV/atom
space group: No. 221
offset from the most stable computed form: 0 meV/atom

* * * * *

Material: Ba2Sn5Hg
Method: DFT, GGA-PBE
State: optimized geometry

Calculated values
- VASP energy: -3.474 eV/atom

The structure in POSCAR format:
```
Ba2Sn5Hg
1.0
5.446 0.000 0.000
0.000 3.637 6.419
0.000 -3.637 6.419
Ba Sn Hg
2 5 1
direct
0.000 0.000 0.000 Ba
0.500 0.337 0.337 Ba
0.000 0.528 0.949 Sn
0.000 0.532 0.532 Sn
0.000 0.949 0.528 Sn
0.500 0.389 0.812 Sn
0.500 0.812 0.389 Sn
0.500 0.830 0.830 Hg
```


Material: Rb2ZrAg2Te2S2
Method: DFT, GGA-PBE
State: optimized geometry

Calculated values
- Relative energy among the computed polymorphs: 0.00 eV per formula unit

The structure in POSCAR format:
```
Rb2ZrAg2Te2S2
1.0
3.183 -7.179 0.000
3.183 7.179 0.000
-0.270 0.000 6.349
Rb Zr Ag Te S
2 1 2 2 2
direct
0.247 0.247 0.244 Rb
0.753 0.753 0.756 Rb
0.265 0.735 0.500 Zr
0.266 0.734 0.000 Ag
0.767 0.233 0.500 Ag
0.407 0.105 0.755 Te
0.895 0.593 0.245 Te
0.152 0.423 0.713 S
0.577 0.848 0.287 S
```


Material: Y2BePd
Method: DFT, GGA-PBE
State: optimized geometry

Calculated values
- VASP energy: -5.582 eV/atom

The structure in POSCAR format:
```
Y2BePd
1.0
0.000 3.367 3.367
3.367 0.000 3.367
3.367 3.367 0.000
Y Be Pd
2 1 1
direct
0.000 0.000 0.000 Y
0.250 0.250 0.250 Y
0.500 0.500 0.500 Be
0.750 0.750 0.750 Pd
```


Material: MgTaCoAs
Method: DFT, GGA-PBE
State: optimized geometry

Calculated values
- Relative energy among the computed polymorphs: 0.35 eV per formula unit

The structure in POSCAR format:
```
MgTaCoAs
1.0
0.000 3.169 3.169
3.169 0.000 3.169
3.169 3.169 0.000
Mg Ta Co As
1 1 1 1
direct
0.000 0.000 0.000 Mg
0.750 0.750 0.750 Ta
0.500 0.500 0.500 Co
0.250 0.250 0.250 As
```


V per entry: 31.78; 32.24; 19.08; 15.91 A^3/atom

* * * * *

Entry from Alexandria via LeMat-Bulk: a relaxed CrCuMo2 crystal (PBE-GGA).

Structure (extended XYZ):
```
4
Lattice="-4.176 -1.151 -2.487 -0.434 0.180 4.973 -1.188 2.291 0.187" Properties=species:S:1:pos:R:3 pbc="T T T"
Cr -2.682 0.570 -1.150
Cu -0.811 1.235 2.580
Mo 0.000 0.000 0.000
Mo -2.305 -0.485 1.243
```

Summary:
**DFT formation energy**: 1.01 eV per formula unit
**Total moment**: 0.00 μB per atom
~~~
## The entry goes on

I did not grow up this way. As far back as I can remember, to age 8 or 9, there was the ideal that one day I would grow up, romantically fall in love, have a family and live happily ever after (which fell well short!). I did not do well at nor did I enjoy school, thinking that careers were for the smart ones; for others who did not want families and therefore had nothing else in their lives.

However this was all based on a belief, a picture I had in my head about how life should be. Continue reading “A True Commitment to Work, Getting a Job… and Life”

Early to Bed, Early to Rise, Makes you Healthy, Wealthy and Wise

“Early to bed, Early to rise, Makes you Healthy, Wealthy and Wise.”


This was one of my grandmother’s favourite sayings. Perhaps from an era just fading from memory when really no one stayed up that late. It was common practice when I was a child staying at her house that dinner was early, kids were bathed and in their pyjamas well and truly before the summer sun went down. Dinner was served at 5:30 / 6pm and once it was eaten it was story time and into bed. Adults too.

It seems these days it is a much busier world. The pace of everything is much faster and having space and time in the day seems like a luxury.

Continue reading “Early to Bed, Early to Rise, Makes you Healthy, Wealthy and Wise”

Driven to Distraction

Just after the 2013 Universal Medicine retreat at the Lighthouse, I remember getting into the hire car, driving up to the junction at the top of the road and immediately feeling my calm and serene self being challenged by a palpable energy of aggression and intolerance.

I’m referring to a phenomenon that seems to exist but need not.

Continue reading “Driven to Distraction”

Biting my Nails – Old Habits die gently

I started biting my nails when I was about 6 years old, or even earlier… I remember my mother telling me not to do it, and eventually buying some foul tasting liquid to put on my nails. Despite this awful taste I persisted. It became a very unconscious habit that increased when I was aware of being anxious, for example reading a tension-inducing book or in my teens watching a literally – for me – a “nail-biting” TV programme! As I grew older and became more self conscious I tried to hide my nails by folding my fingers inside my palms so no one would notice. I felt helpless to do anything about it, although I would like to have stopped the habit. I chewed all the way through my school years. Continue reading “Biting my Nails – Old Habits die gently”

Housework Without Rush – A Different Way

by Anne Scott, Auckland, New Zealand

Today I felt how different housework was when I didn’t rush through it.

Here the article breaks off for calculated crystals:
=====
{
  "formula": "SrLaMo2",
  "functional": "GGA-PBE",
  "state": "relaxed",
  "lattice_angstrom": [[-6.963, -2.725, 3.530], [-3.381, -1.042, -7.474], [-4.158, -4.582, -2.054]],
  "species": ["Mo", "La", "Mo", "Sr", "Sr", "Mo", "La", "Mo"],
  "fractional_positions": [[0.875, 0.891, 0.750], [0.750, 0.250, 0.500], [0.641, 0.125, 0.250], [0.250, 0.750, 0.500], [0.500, 0.500, 0.000], [0.375, 0.359, 0.750], [0.000, 0.000, 0.000], [0.109, 0.625, 0.250]],
  "mass_density_g_cm3": 7.05,
  "m_tot_mub_per_fu": 0.00,
  "ef_ev_per_fu": 5.83,
  "crystal_system": "tetragonal",
  "e_tot_ev_per_atom": -5.611
}


Here is a relaxed ZnCr3Re crystal from Alexandria via LeMat-Bulk. Energies are from PBE-GGA.

- M_tot (μB per cell) = 7.0
- excess energy over the best structure of this formula in the dataset (kcal/mol of atoms) = 8.667

abc: 4.422 4.422 4.422
angles: 90.00 90.00 90.00
Element x y z (fractional)
Zn1 0.000 0.000 0.000
Cr1 0.000 0.000 0.500
Cr2 0.000 0.500 0.000
Cr3 0.500 0.000 0.000
Re1 0.500 0.500 0.500



Here is a relaxed ZnCr2Re crystal from Alexandria via LeMat-Bulk. Energies are from PBE-GGA.

- M_tot (μB per cell) = 0.0

abc: 4.930 4.930 2.557
angles: 99.73 99.73 116.70
Element x y z (fractional)
Zn1 0.000 0.000 0.000
Cr1 0.000 0.500 0.500
Cr2 0.500 0.000 0.500
Re1 0.500 0.500 0.000



Here is a relaxed ZnCr2Re crystal from Alexandria via LeMat-Bulk. Energies are from PBE-GGA.

- M_tot (μB per cell) = 2.3

abc: 4.238 4.238 4.238
angles: 60.00 60.00 60.00
Element x y z (fractional)
Zn1 0.000 0.000 0.000
Cr1 0.500 0.500 0.500
Cr2 0.750 0.750 0.750
Re1 0.250 0.250 0.250



Here is a relaxed ZnCrRe3 crystal from Alexandria via LeMat-Bulk. Energies are from PBE-GGA.

- M_tot (μB per cell) = 0.0
- excess energy over the best structure of this formula in the dataset (kcal/mol of atoms) = 0.000

abc: 4.450 4.450 4.450
angles: 90.00 90.00 90.00
Element x y z (fractional)
Zn1 0.000 0.000 0.000
Cr1 0.500 0.500 0.500
Re1 0.000 0.500 0.500
Re2 0.500 0.000 0.500
Re3 0.500 0.500 0.000



Here is a relaxed ZnCr2Re crystal from Alexandria via LeMat-Bulk. Energies are from PBE-GGA.

- M_tot (μB per cell) = 2.8

abc: 3.023 3.023 5.902
angles: 90.00 90.00 90.00
Element x y z (fractional)
Zn1 0.000 0.000 0.000
Cr1 0.500 0.500 0.257
Cr2 0.500 0.500 0.743
Re1 0.000 0.000 0.500



Here is a relaxed ZnCrRe crystal from Alexandria via LeMat-Bulk. Energies are from PBE-GGA.

- M_tot (μB per cell) = 0.0
- excess energy over the best structure of this formula in the dataset (kcal/mol of atoms) = 0.000

abc: 4.881 4.881 4.881
angles: 143.43 143.43 52.68
Element x y z (fractional)
Zn1 0.000 0.000 0.000
Cr1 0.674 0.674 0.000
Re1 0.314 0.314 0.000



Here is a relaxed ZnCr2Re crystal from Alexandria via LeMat-Bulk. Energies are from PBE-GGA.

- M_tot (μB per cell) = 0.0

abc: 4.853 4.853 4.853
angles: 143.15 129.17 64.41
Element x y z (fractional)
Zn1 0.000 0.000 0.000
Cr1 0.260 0.760 0.500
Cr2 0.740 0.240 0.500
Re1 0.500 0.500 0.000
=====
End of the calculated crystals:

My inspiration was watching Emmalee Benhayon sweep the porch of the Universal Medicine clinic in Goonellabah, during my last visit there in December. She was using the broom very consciously and studiously. I could feel (even from a distance) that there was no element of ‘rush’ in her sweeping. I realised that, by being very still and centred within herself whilst sweeping, she was imprinting the porch (the entrance to the clinic) with that stillness; so that visitors would have the opportunity to feel it too, when they entered the porch. How amazing is that? Continue reading “Housework Without Rush – A Different Way”

The Body doesn’t Lie: Why I Choose a Gluten and Dairy-free Diet

by Rosie Bason, Mullumbimby, NSW

About 8 years ago I studied for a Diploma in Herbal Medicine, and part of that included two years studying Nutrition. I learned heaps, and I advised lots of clients to do this or try that, but I did not practise much of what I had learned. It’s amazing that we can gain all this knowledge, yet ignore it.

I thought I was healthy… but in truth I was often bloated, sometimes constipated, and almost always had a blocked nose to some extent. In fact, I had sinus issues my whole life. I thought it would be good to try to not eat too much cheese, but I loved it and couldn’t imagine life without it. I was never much of a milk drinker, but then again, I would have it in a cup of tea or coffee, although I never drank it on its own. So I just thought that a little bit couldn’t really be making a huge difference.

Continue reading “The Body doesn’t Lie: Why I Choose a Gluten and Dairy-free Diet”

Vitality versus Fitness

by Dr Danielle Pirera, Exercise Physiologist, Goonellabah, Australia

Why do healthy people who are extremely or moderately fit, who eat a well balanced healthy diet of protein, carbohydrates and fat, who go to bed early and sleep 8 hours per night, still get very tired or even exhausted by an average work day behind the desk, or need caffeine and sugar to get them through the full day? Continue reading “Vitality versus Fitness”